DCJ Deputy Chief State's Attorney

### The text is interrupted by materials data
********
LaPm2Sb2 | PBE | optimized geometry

```
10
Lattice="5.3438 -6.1939 0.0000 5.3438 6.1939 0.0000 -3.5298 0.0000 5.1875" Properties=species:S:1:pos:R:3 pbc="T T T"
La 2.6964 4.8441 3.8906
La 4.4613 -4.8441 1.2969
Pm 3.4259 1.2555 0.1583
Pm 1.6610 -1.2555 2.7520
Pm 5.4968 1.2555 2.4354
Pm 3.7319 -1.2555 5.0292
Sb 4.4613 4.1144 1.2969
Sb 2.6964 1.5403 3.8906
Sb 4.4613 -1.5403 1.2969
Sb 2.6964 -4.1144 3.8906
```

Output
* raw formation energy: -0.731 eV/atom

* * * * *

1:
Computed, not measured: crystalline PmAl4Pt2 at its relaxed geometry at the PBE level of DFT.

a = 17.4439 Å, b = 4.3179 Å, c = 6.6536 Å
α = 90.00°, β = 90.00°, γ = 90.00°
Sites, in units of the cell vectors:
1 Pm 0.1393 0.2500 0.0116
2 Pm 0.3607 0.7500 0.5116
3 Pm 0.6393 0.2500 0.4884
4 Pm 0.8607 0.7500 0.9884
5 Al 0.0347 0.7500 0.8390
6 Al 0.0704 0.2500 0.4913
7 Al 0.1859 0.7500 0.3226
8 Al 0.1940 0.7500 0.7264
9 Al 0.3060 0.2500 0.2264
10 Al 0.3141 0.2500 0.8226
11 Al 0.4296 0.7500 0.9913
12 Al 0.4653 0.2500 0.3390
13 Al 0.5347 0.7500 0.6610
14 Al 0.5704 0.2500 0.0087
15 Al 0.6859 0.7500 0.1774
16 Al 0.6940 0.7500 0.7736
17 Al 0.8060 0.2500 0.2736
18 Al 0.8141 0.2500 0.6774
19 Al 0.9296 0.7500 0.5087
20 Al 0.9653 0.2500 0.1610
21 Pt 0.0374 0.7500 0.2471
22 Pt 0.2152 0.2500 0.5265
23 Pt 0.2848 0.7500 0.0265
24 Pt 0.4626 0.2500 0.7471
25 Pt 0.5374 0.7500 0.2529
26 Pt 0.7152 0.2500 0.9735
27 Pt 0.7848 0.7500 0.4735
28 Pt 0.9626 0.2500 0.7529

Output
The space group is Pnma.

2:
Computed, not measured: crystalline PmAl4Pt2 at its relaxed geometry at the PBE level of DFT.

a = 7.8242 Å, b = 7.8242 Å, c = 4.1395 Å
α = 90.00°, β = 90.00°, γ = 90.00°
Sites, in units of the cell vectors:
1 Pm 0.0000 0.0000 0.0000
2 Pm 0.5000 0.5000 0.5000
3 Al 0.0838 0.3358 0.5000
4 Al 0.1642 0.5838 0.0000
5 Al 0.3358 0.0838 0.5000
6 Al 0.4162 0.8358 0.0000
7 Al 0.5838 0.1642 0.0000
8 Al 0.6642 0.9162 0.5000
9 Al 0.8358 0.4162 0.0000
10 Al 0.9162 0.6642 0.5000
11 Pt 0.2194 0.7806 0.5000
12 Pt 0.2806 0.2806 0.0000
13 Pt 0.7194 0.7194 0.0000
14 Pt 0.7806 0.2194 0.5000

Output
The space group is P4_2/mnm.

Stability summary: most stable 1, least stable 2.

1:
Computed, not measured: crystalline PmAl4Pt at its relaxed geometry at the PBE level of DFT.

a = 4.1084 Å, b = 4.1084 Å, c = 8.0436 Å
α = 90.00°, β = 90.00°, γ = 90.00°
Sites, in units of the cell vectors:
1 Pm 0.0000 0.0000 0.0000
2 Al 0.0000 0.5000 0.3108
3 Al 0.0000 0.5000 0.6892
4 Al 0.5000 0.0000 0.3108
5 Al 0.5000 0.0000 0.6892
6 Pt 0.5000 0.5000 0.5000

Output
The space group is P4/mmm.

2:
Computed, not measured: crystalline PmAl4Pt at its relaxed geometry at the PBE level of DFT.

a = 8.2434 Å, b = 8.2434 Å, c = 6.7526 Å
α = 90.00°, β = 90.00°, γ = 150.14°
Sites, in units of the cell vectors:
1 Pm 0.1161 0.8839 0.7500
2 Pm 0.8839 0.1161 0.2500
3 Al 0.0698 0.9302 0.2500
4 Al 0.3153 0.6847 0.5514
5 Al 0.3153 0.6847 0.9486
6 Al 0.5000 0.5000 0.0000
7 Al 0.5000 0.5000 0.5000
8 Al 0.6847 0.3153 0.0514
9 Al 0.6847 0.3153 0.4486
********
### Here the text continues

Inspector General

Recruitment #250109-2611VR-001


The State of ConnecticutDivision of Criminal Justice (DCJ) is responsible for the investigation and prosecution of all criminal matters in the State of Connecticut. It is an independent agency of the executive branch of state government, established under the Constitution of the State of Connecticut. The Division is composed of the Office of the Chief State's Attorney, located in Rocky Hill, Connecticut, and the Offices of the State's Attorneys for each of the thirteen Judicial Districts in the State of Connecticut. 

C.G.S. §51-277e established the Office of the Inspector General as a separate office within the Division of Criminal Justice to be known as the Office of the Inspector General.  Appointed by the Criminal Justice Commission, the Deputy Chief State’s Attorney – Inspector General (hereafter “Inspector General”) shall lead the Office of the Inspector General and has prosecutorial powers as a designee of the Chief State’s Attorney. 

About this Position:
We are recruiting for a full-time DCJ Deputy Chief State's Attorney (Inspector General) located in Shelton, CT.  NOTE: This is an Unclassified/Exempt, appointed position for a term of four (4) years, which includes responsibility for directing staff as assigned.  

In this role, the Inspector General shall be devoted, on a full-time basis, to the duties of the Office.  The Inspector General may not otherwise engage in the practice of law and may not be a partner, member or associate of a law firm.

What We Can Offer You:
About Us:
The Division of Criminal Justice (Division) and its employees are committed to the fair and equal administration of justice in Connecticut. To this end, the Division acknowledges its duty to investigate and prosecute matters within its jurisdiction diligently, ethically and impartially, honoring its constitutional and common law foundations. By ensuring that the criminal laws of the State of Connecticut are enforced fairly and constitutionally, the Division honors the rule of law upon which our nation is founded.  Accomplishing this mission depends upon skill, creativity, and constructive interaction of all Division employees with the law enforcement community and advocacy in the highest traditions of the Office of State's Attorney, the first public prosecutor in America.

Compound: InTe2IN
Source: Alexandria
Functional: PBE
Structure: optimized geometry

Unit cell a=6.275 b=6.275 c=3.938 alpha=90.00 beta=90.00 gamma=90.00
Sites, in units of the cell vectors:
I  0.000  0.000  0.000
In  0.500  0.500  0.500
Te  0.500  0.000  0.000
Te  0.000  0.500  0.000
N  0.000  0.000  0.500

Results
Space-group type: P4/mmm, No. 123
Crystal system: tetragonal

Compound: InTe2IN
Source: Alexandria
Functional: PBE
Structure: optimized geometry

Unit cell a=6.064 b=6.064 c=4.030 alpha=90.00 beta=90.00 gamma=90.00
Sites, in units of the cell vectors:
I  0.500  0.500  0.500
Te  0.000  0.500  0.000
Te  0.500  0.000  0.000
In  0.000  0.000  0.000
N  0.000  0.000  0.500

Results
Space-group type: P4/mmm, No. 123
Crystal system: tetragonal

Compound: TlInIN2
Source: Alexandria
Functional: PBE
Structure: optimized geometry

Unit cell a=4.598 b=4.598 c=6.352 alpha=90.00 beta=90.00 gamma=90.00
Sites, in units of the cell vectors:
Tl  0.500  0.500  0.500
In  0.000  0.000  0.000
N  0.500  0.000  0.000
N  0.000  0.500  0.000
I  0.000  0.000  0.500

Results
Space-group type: P4/mmm, No. 123
Crystal system: tetragonal

Compound: TlInIN2
Source: Alexandria
Functional: PBE
Structure: optimized geometry

Unit cell a=4.727 b=4.727 c=6.512 alpha=90.00 beta=90.00 gamma=90.00
Sites, in units of the cell vectors:
N  0.000  0.500  0.000
N  0.500  0.000  0.000
In  0.500  0.500  0.500
I  0.000  0.000  0.500
Tl  0.000  0.000  0.000

Results
Space-group type: P4/mmm, No. 123
Crystal system: tetragonal

Compound: TlInI2N
Source: Alexandria
Functional: PBE
Structure: optimized geometry

Unit cell a=6.229 b=6.229 c=4.159 alpha=90.00 beta=90.00 gamma=90.00
Sites, in units of the cell vectors:
N  0.000  0.000  0.500
I  0.500  0.000  0.000
I  0.000  0.500  0.000
Tl  0.500  0.500  0.500
In  0.000  0.000  0.000

Results
Space-group type: P4/mmm, No. 123
Crystal system: tetragonal

Compound: TlInI2N
Source: Alexandria
Functional: PBE
Structure: optimized geometry

Unit cell a=6.314 b=6.314 c=4.589 alpha=90.00 beta=90.00 gamma=90.00
Sites, in units of the cell vectors:
I  0.500  0.000  0.000
I  0.000  0.500  0.000
In  0.500  0.500  0.500
Tl  0.000  0.000  0.000
N  0.000  0.000  0.500

Results
Space-group type: P4/mmm, No. 123
Crystal system: tetragonal

Compound: VInIN2
Source: Alexandria
Functional: PBE
Structure: optimized geometry

Unit cell a=4.153 b=4.153 c=5.810 alpha=90.00 beta=90.00 gamma=90.00
Sites, in units of the cell vectors:
N  0.500  0.000  0.000
N  0.000  0.500  0.000
I  0.000  0.000  0.500
V  0.500  0.500  0.500
In  0.000  0.000  0.000

Results
Space-group type: P4/mmm, No. 123
Crystal system: tetragonal

Compound: VInIN2
Source: Alexandria
Functional: PBE
Structure: optimized geometry

Unit cell a=4.031 b=4.031 c=5.964 alpha=90.00 beta=90.00 gamma=90.00
Sites, in units of the cell vectors:
In  0.500  0.500  0.500
N  0.000  0.500  0.000
N  0.500  0.000  0.000
I  0.000  0.000  0.500
V  0.000  0.000  0.000

Results
Space-group type: P4/mmm, No. 123

  • Incumbents will be required to complete a background check, and appointment to this position is made by the Criminal Justice Commission.  Please be sure to include your juris number on the application.

Selection Plan

Please read or watch our Applicant Tips on How to Apply!

To Apply:
  • The only way to apply to this job posting is via the "APPLY" or "APPLY ONLINE" buttons on the official State of Connecticut Online Employment Center job posting.
  • In order to be considered for this job opening, you must meet the Minimum Qualifications as listed on the job opening.  The minimum experience and training requirements must be met by the closing date on the job opening, unless otherwise specified.
  • You must specify your qualifications on your application.  You will be unable to make revisions once you submit your application for this posting to the JobAps system.
  • The incumbent will be required to complete a background check and appointment to this position is made by the Criminal Justice Commission. Please be sure to list your juris number on the application. The incumbent may be required to travel in the course of their daily work.
  • In order to comply with Public Act 21-69, the State of Connecticut is no longer asking for resumes during the initial application process.  Candidates invited to interview may be required to submit additional documentation which supports their qualification(s) for this position, such as a resume, performance reviews, supervisory references, college transcripts, licensure, etc., at the discretion of the hiring agency.
  • NOTE: For current state employees, salary calculations are not necessarily comparable from one of the three branches of state government (i.e., Executive, Legislative, Judicial) to the other.
After You Apply:
  • All application materials must be received by the recruiting agency by the time specified on the job opening for the position for which you are applying. Late applications may not be submitted and will not be considered. Exceptions are rare and limited to documented events that incapacitate a candidate during the entire duration of the job posting time period.  It is the candidate’s obligation and responsibility to request an exception and provide a legally recognized justification to accommodate such exception.  Requests should be made to
  • All communication with applicants will be through the JobAps system, so applicants are encouraged to check for updates to their JobAps portal account.  Please ensure that you are utilizing the correct email address for notices to be sent to you from the JobAps system.  Interviews will be limited to candidates whose experience and training most closely meet the requirements of the position.  Helpful Tips to prepare for your interview.
  • Candidates who are offered and accept a position with the State of Connecticut are bound by the State Code of Ethics for Public Officials and State Employees, which is available at
Contact Us:
  • Updates will be available through your JobAps portal account.  Questions about this position should be directed to the hiring agency's human resources office: or 860-258-5800.


  • Conduct investigations of peace officers in accordance with section 51-277a; 
  • Prosecute any case in which the Inspector General determines a peace officer used force found to not be justifiable pursuant to section 53a-22 or where a police officer or correctional officer fails to intervene in any such incident or to report any such incident, as required under subsection (a) of section 7-282e or section 18-81nn, as applicable; 
  • Investigate any failure to report the death of a person in accordance with the provisions of section 7-294mm; 
  • Investigate any failure to report in accordance with the provisions of subdivision (1) of subsection (h) of section 7-294d; 
  • Refer cases for potential prosecution, to the Division of Criminal Justice, when determination is made that there is a death of a person in the custody of a peace officer or law enforcement agency by criminal means not involving the use of force by a peace officer; 
  • Make recommendations to the Police Officer Standards and Training Council established under section 7-294b concerning censure and suspension, renewal, cancelation or revocation of a peace officer's certification, provided in the case of a failure to report a death of a person, any such recommendation may be made to said council only in a case where such failure is found to be intentional or made with reckless indifference, or if there is no finding that such failure was intentional or made with reckless indifference, a recommendation may be made to the officer's employing agency for any further disciplinary action as so determined by such employing agency;
  • Select, from staff of the Division of Criminal Justice within the confines of any existing collective bargaining agreement, such professional, technical and other personnel which shall include, but not be limited to, an assistant state's attorney or a deputy assistant state's attorney, an inspector and administrative staff;
  • When need is determined, the Inspector General may request of and be ensured assistance, from the Office of the Chief State’s Attorney, such additional staffing as may be reasonably necessary for the efficient operation and discharge of the required duties; 
  • When deemed necessary, the Inspector General shall make requests of the appropriate law enforcement agency to provide such assistance as is necessary to determine the circumstances of the investigated incidents resulting in deaths;  
  • Prepare and complete reports pursuant to investigations undertaken in accordance with the statutory timelines and requirements; and 
  • Perform such other duties and responsibilities as are reasonably necessary to implement the purposes of the applicable statutes.


Operations and Administration: 
  • Considerable leadership skills and experience;
  • Considerable knowledge and ability to apply state and federal laws, statutes and regulations;
  • Extensive knowledge of criminal law, criminal procedure and the rules of evidence; 
  • Considerable knowledge of effective courtroom presentation techniques and procedures; 
  • Understanding and ability to apply the principles and practices of supervision and training; 
  • Understanding and ability to apply the principles and practices of organization and management; 
  • Knowledge of the legislative process; 
  • Knowledge of governmental organization and functional responsibilities; 
  • Knowledge of procedures for governmental programming and budgeting; 
  • Considerable interpersonal skills; considerable oral and written communication skills; and,
  • Knowledge and understanding of the role and function of the state, local, federal and other law enforcement agencies in Connecticut.


Three (3) years of experience practicing law. Must be admitted to practice law in the State of Connecticut.


Residency in the State of Connecticut is required at the time of appointment.



The State of Connecticut is an equal opportunity/affirmative action employer and strongly encourages the applications of women, minorities, and persons with disabilities.


As defined by Sec. 5-196 of the Connecticut General Statutes, a job class is a position or group of positions that share general characteristics and are categorized under a single title for administrative purposes. As such, a job class is not meant to be all-inclusive of every task and/or responsibility.